34 // 52

first day of school collage

Inserted here: calculated crystals:
<<<
Diffraction record for PmSm2Ru. The powder diffraction line list is theoretical, not measured: it uses the PBE geometry in Alexandria and Cu Kα.
Neutral-atom scattering factors, no anomalous dispersion.

Most intense lines, 5 to 70 degrees two-theta, sorted by position:
hkl 1 1 2, 2θ 30.3, I 80; hkl 1 3 0, 2θ 31.4, I 51; hkl 0 2 3, 2θ 32.1, I 97; hkl 1 3 1, 2θ 32.9, I 100; hkl 1 1 3, 2θ 37.3, I 52; hkl 2 2 3, 2θ 56.9, I 38

Crystal structure
Cell lengths 3.975, 12.230, 9.409 Å; angles 90.00, 90.00, 90.00 degrees
Space group Cmcm (No. 63)
Unique sites:
Pm: 0.000 0.080 0.250 (multiplicity 4)
Sm: 0.000 0.357 0.070 (multiplicity 8)
Ru: 0.000 0.254 0.750 (multiplicity 4)

***

Diffraction record for Pm3SmRu2. The powder diffraction line list is theoretical, not measured: it uses the PBE geometry in Alexandria and Cu Kα.
Neutral-atom scattering factors, no anomalous dispersion.

Most intense lines, 5 to 70 degrees two-theta, sorted by position:
hkl 1 2 1, 2θ 22.0, I 55; hkl 2 0 0, 2θ 25.9, I 63; hkl 1 1 2, 2θ 28.7, I 42; hkl 1 3 2, 2θ 34.2, I 67; hkl 2 0 2, 2θ 36.1, I 85; hkl 2 4 0, 2θ 37.0, I 100

Crystal structure
Cell lengths 6.871, 13.777, 7.220 Å; angles 90.00, 90.00, 90.00 degrees
Space group Ibam (No. 72)
Unique sites:
Pm: 0.000 0.000 0.250 (multiplicity 4)
Pm: 0.000 0.264 0.250 (multiplicity 8)
Sm: 0.000 0.500 0.000 (multiplicity 4)
Ru: 0.226 0.133 0.000 (multiplicity 8)

***

Diffraction record for PmSmZnRu. The powder diffraction line list is theoretical, not measured: it uses the PBE geometry in Alexandria and Cu Kα.
Neutral-atom scattering factors, no anomalous dispersion.

Most intense lines, 5 to 70 degrees two-theta, sorted by position:
hkl 1 1 1, 2θ 31.3, I 100; hkl 0 0 4, 2θ 33.3, I 64; hkl 1 1 3, 2θ 39.4, I 79; hkl 2 0 0, 2θ 41.6, I 27; hkl 0 2 0, 2θ 44.7, I 22; hkl 2 0 4, 2θ 54.3, I 32

Crystal structure
Cell lengths 4.343, 4.059, 10.768 Å; angles 90.00, 90.00, 90.00 degrees
Space group Amm2 (No. 38)
Unique sites:
Pm: 0.000 0.000 0.000 (multiplicity 2)
Sm: 0.500 0.000 0.279 (multiplicity 2)
Zn: 0.500 0.000 0.573 (multiplicity 2)
Ru: 0.000 0.000 0.713 (multiplicity 2)

***

Diffraction record for Pm3Sn7Ru2. The powder diffraction line list is theoretical, not measured: it uses the PBE geometry in Alexandria and Cu Kα.
Neutral-atom scattering factors, no anomalous dispersion.

Most intense lines, 5 to 70 degrees two-theta, sorted by position:
hkl 1 5 1, 2θ 31.6, I 100; hkl 1 7 1, 2θ 35.1, I 22; hkl 2 0 0, 2θ 38.4, I 30; hkl 0 0 2, 2θ 40.0, I 27; hkl 2 0 2, 2θ 56.7, I 20; hkl 1 17 1, 2θ 61.5, I 14

Crystal structure
Cell lengths 4.694, 28.930, 4.503 Å; angles 90.00, 90.00, 90.00 degrees
Space group Cmmm (No. 65)
Unique sites:
Pm: 0.000 0.000 0.000 (multiplicity 2)
Pm: 0.000 0.179 0.000 (multiplicity 4)
Sn: 0.000 0.090 0.500 (multiplicity 4)
Sn: 0.000 0.278 0.500 (multiplicity 4)
Sn: 0.000 0.413 0.000 (multiplicity 4)
Sn: 0.000 0.500 0.500 (multiplicity 2)
Ru: 0.000 0.366 0.500 (multiplicity 4)

=====
>>>
End of the calculated crystals:

“A portrait of my children once a week, every week, in 2015.”

Note: I admit to being somewhat of a failure this year when it comes to the 52 week portrait project. I haven’t done a portrait post since the third week in July, and I’m not going to try and backtrack through the past five weeks to catch up. But, I’m ready to start over fresh, and what better week to do it than with the first week back at school?
Here’s to new beginnings for all of us.

Lillia: This week you started sixth grade! I can’t believe I have an official “middle-schooler” in my home now. You were really, really stressed out before the first day of school. You were worried that you wouldn’t know where anything was, that you wouldn’t have anyone to talk to, and that you would be a total failure at Student Council. Thankfully, none of those things came to pass. You are definitely tired, but seem to be pretty happy with your teachers and your new schedule. You said your favorite thing so far has been Spanish class.

Inserted here: data records =
/*
Theoretical powder XRD pattern of YScB2O6 for Cu Kα, 1.54184 Å, from a crystal structure in the Materials Project, relaxed with GGA-PBE.
Peak positions follow from Bragg's law for the DFT cell and can differ from measured ones.

Most intense lines, 2θ = 10–90°, in order of rising 2θ:
23.7 deg, intensity 60.3, (0 1 2)
30.6 deg, intensity 100.0, (1 0 4)
36.6 deg, intensity 23.4, (1 1 0)
40.4 deg, intensity 23.7, (2 -1 3)
44.0 deg, intensity 25.1, (2 0 2)
50.1 deg, intensity 21.5, (0 1 8)
50.3 deg, intensity 39.8, (1 1 6)
58.6 deg, intensity 17.9, (1 2 2)
62.2 deg, intensity 14.5, (2 1 4)
65.9 deg, intensity 13.6, (3 0 0)

Unit cell a=4.9105 b=4.9105 c=16.1191 alpha=90.00 beta=90.00 gamma=120.00
Space group R-3 (No. 148, hexagonal axes)
Symmetry-distinct sites (fractional):
Y  0.0000  0.0000  0.0000 [3 per cell]
Sc  0.0000  0.0000  0.5000 [3 per cell]
B  0.0000  0.0000  0.2450 [6 per cell]
O  0.0201  0.7279  0.2463 [18 per cell]

----------

Al3Au8: theoretical powder diffraction line list (Cu Kα X-rays), based on a cell relaxed with PBE.
Kinematic intensities with the Lorentz-polarization factor, no thermal factor.

Unit cell a=14.998 b=14.998 c=14.998 alpha=30.32 beta=30.32 gamma=30.32
Element x y z (fractional)
Al 0.000 0.000 0.000
Al 0.066 0.750 0.434
Al 0.156 0.156 0.156
Al 0.250 0.566 0.934
Al 0.344 0.344 0.344
Al 0.434 0.066 0.750
Al 0.500 0.500 0.500
Al 0.566 0.934 0.250
Al 0.656 0.656 0.656
Al 0.750 0.434 0.066
Al 0.844 0.844 0.844
Al 0.934 0.250 0.566
Au 0.004 0.296 0.649
Au 0.063 0.063 0.063
Au 0.115 0.375 0.853
Au 0.125 0.385 0.647
Au 0.147 0.885 0.625
Au 0.149 0.796 0.504
Au 0.204 0.496 0.851
Au 0.218 0.218 0.218
Au 0.282 0.282 0.282
Au 0.296 0.649 0.004
Au 0.351 0.996 0.704
Au 0.353 0.875 0.615
Au 0.375 0.853 0.115
Au 0.385 0.647 0.125
Au 0.437 0.437 0.437
Au 0.496 0.851 0.204
Au 0.504 0.149 0.796
Au 0.563 0.563 0.563
Au 0.615 0.353 0.875
Au 0.625 0.147 0.885
Au 0.647 0.125 0.385
Au 0.649 0.004 0.296
Au 0.704 0.351 0.996
Au 0.718 0.718 0.718
Au 0.782 0.782 0.782
Au 0.796 0.504 0.149
Au 0.851 0.204 0.496
Au 0.853 0.115 0.375
Au 0.875 0.615 0.353
Au 0.885 0.625 0.147
Au 0.937 0.937 0.937
Au 0.996 0.704 0.351

Top 8 peaks for 2θ from 5° to 70°, by angle:
2θ (°), d_spacing, intensity
25.91, 3.438, 24
29.50, 3.028, 19
35.01, 2.563, 15
38.97, 2.311, 100
39.62, 2.275, 17
39.81, 2.264, 80
46.13, 1.968, 16
56.93, 1.617, 14



AlAu2: theoretical powder diffraction line list (Cu Kα X-rays), based on a cell relaxed with PBE.
Kinematic intensities with the Lorentz-polarization factor, no thermal factor.

Unit cell a=5.079 b=5.079 c=5.079 alpha=141.24 beta=141.24 gamma=55.98
Element x y z (fractional)
Al 0.000 0.000 0.000
Au 0.344 0.344 0.000
Au 0.656 0.656 0.000

Top 8 peaks for 2θ from 5° to 70°, by angle:
2θ (°), d_spacing, intensity
19.79, 4.485, 13
28.28, 3.156, 55
37.74, 2.384, 62
40.32, 2.237, 100
54.44, 1.686, 22
56.33, 1.633, 15
62.47, 1.487, 12
69.86, 1.346, 48

----------

1.
*/

Zane: This week you started Preschool/Pre-K. You were very excited to be in the “big kid class” as you seem to have suddenly become enamored with all things related to growing up. You’ll be going five days a week, mostly because of my working but also because you really seem to enjoy school. You love to socialize, and you love to be busy. I have a feeling that you’re going to have a great year.


35 // 52

first day of school collage

“A portrait of my children once a week, every week, in 2014.”

Lillia: This week you became a Middle School-er! Hooray! You seem to be be enjoying school so far, with your only major complaints being the heat (why is it always blazingly hot the first week of school?), the awkwardness of having to change into your gym clothes in front of other people, and the stress of not being able to remember much of the multiplication tables. On the other hand, you’ve been thrilled about seeing your friends again. I’ve noticed that you’re mildly preoccupied with others’s perceptions of you this year, which I don’t think bothered you very much in the past. Don’t forget: you are awesome just the way you are.

Zane: This week you started preschool! You weren’t upset at all when I dropped you off and you wanted to hop right into the action. I left you playing Play-Doh with a couple of other little kids who looked about your age. You were really happy to see me when I first came to pick you up, but then you went and hid under a climber. When I bent down to look in, you threw a couple of handfuls of wood chips at me. Even brave little boys have mixed emotions about being without their mama for a few hours. But, you said you really wanted to go back next week so I think it was a big success overall.
